The London-based artist Tatiana De Stempel's exhibition focuses on the impact of skin colour on people
Photos: Tatiana De Stempel. Photo by Albin Mathew; Muslim women at Trafalgar Square, London
By Shevlin Sebastian
In June, 2015, the London-based artist Tatiana De Stempel noticed a group of young women, from Saudi Arabia, wearing black burqas, and holding expensive handbags, laughing and taking selfies at Trafalgar Square. “They were having a ball,” says Tatiana. “I was struck by them because, usually, Muslim women are very sombre in public.”
So Tatiana approached them. And they immediately agreed to her suggestion to stick their tongues out as she took photos. Over several months, Tatiana took photos of all types of people – blacks, transgenders, whites, Indians, Chinese and Japanese – all sticking their tongues out for the camera. She also took photos in Greece and Kochi.
Several of these photographs have been put up at Tatiana's show, 'What colour would you choose', which was held at the Backyard Civilisation Gallery at Mattancherry, near Kochi. The show (January 15-24) has been curated by the Delhi-based author Manoj Nair. “I wanted to show how, even though people have different skin tones, they have the same pink tongue,” says Tatiana. “In other words, deep down, we human beings are the same.”
This idea came to her, when at the India Art Fair, in January, 2014, at New Delhi, Tatiana, along with Manoj, met up with Kerala artist Binoy Varghese. “We were talking about the matrimonial advertisements in India, where the preference is always for ‘fair’ girls,” says Tatiana. “And there is a high demand for fairness skin creams in India. That was when I decided to do this project.”
She was also prompted by an incident in her childhood. In London, there was a Black & White Minstrels Show, in the 1960s, where people, who are white, would be dressed up as black persons and wore black makeup, but the area around the eyes was painted white. “It looked weird,” says Tatiana. “And I never forgot it.”
However, during the year-long project, Tatiana came across some paradoxes. “In England, as soon as the sun comes out, everybody steps out to get a tan,” she says. “They want to turn brown. That's why they go for summer holidays to Greece and Spain. No one is happy with the skin colour they have.”
In Athens, a young girl called Maria summed it up well: “White people want to be black, and black people want to be white. As for me, it is good to be tanned, because all your marks and scars can be hidden.”
In Kochi, when Tatiana held a workshop on skin colour, the responses confirmed to her the deep-rooted desire among Malayalis and Indians to be fair-skinned. “All the women participants wanted a light-coloured child,” she says. “Somebody told me that women are told not to eat mangoes, or drink coffee, so that they can become fairer.”
<<<
[1]
A plane-wave DFT calculation with PBE was carried out for an optimized crystal structure of TaAgTe2F.

a b c (Å): 5.475 4.059 5.475
angles (deg): 90.00 90.00 90.00
Positions (direct):
F1 0.000 0.500 0.000
Te1 0.000 0.000 0.500
Te2 0.500 0.000 0.000
Ag1 0.500 0.500 0.500
Ta1 0.000 0.000 0.000

Properties
- energy relative to the elements, uncorrected (meV/atom) = -523


[2]
A plane-wave DFT calculation with PBE was carried out for an optimized crystal structure of BeCu2Tc.

a b c (Å): 4.971 4.971 4.971
angles (deg): 150.39 127.51 61.43
Positions (direct):
Be1 0.238 0.738 0.500
Tc1 0.480 0.480 0.000
Cu1 0.021 0.021 0.000
Cu2 0.761 0.261 0.500

Properties
- energy of formation (meV per atom) = 175


[3]
A plane-wave DFT calculation with PBE was carried out for an optimized crystal structure of Pm4Nd2Mg.

a b c (Å): 6.090 6.720 11.794
angles (deg): 90.00 105.12 90.00
Positions (direct):
Pm1 0.642 0.500 0.284
Pm2 0.010 0.750 0.876
Pm3 0.990 0.250 0.124
Pm4 0.642 0.000 0.284
Pm5 0.851 0.250 0.559
Pm6 0.358 0.000 0.716
Pm7 0.358 0.500 0.716
Pm8 0.149 0.750 0.441
Nd1 0.591 0.750 0.007
Nd2 0.409 0.250 0.993
Nd3 0.281 0.250 0.428
Nd4 0.719 0.750 0.572
Mg1 0.145 0.750 0.166
Mg2 0.855 0.250 0.834

Properties
- energy of formation (meV per atom) = 79
- ΔE to the lowest computed polymorph (meV per atom) = 0


[4]
A plane-wave DFT calculation with PBE was carried out for an optimized crystal structure of MnFe2Rh.

a b c (Å): 8.494 8.494 8.494
angles (deg): 17.62 17.62 17.62
Site moments in Bohr magnetons follow the coordinates.
Positions (direct):
Fe1 0.997 0.997 0.997  2.10
Fe2 0.503 0.503 0.503  2.10
Mn1 0.250 0.250 0.250  -1.95
Rh1 0.750 0.750 0.750  0.75

Properties
- energy of formation (meV per atom) = 132


[5]
A plane-wave DFT calculation with PBE was carried out for an optimized crystal structure of Ho4HPb2.

a b c (Å): 6.330 6.498 9.126
angles (deg): 90.00 109.23 90.00
Positions (direct):
Ho1 0.537 0.501 0.301
Ho2 0.138 0.750 0.947
Ho3 0.862 0.250 0.053
Ho4 0.537 0.999 0.301
Ho5 0.933 0.250 0.654
Ho6 0.463 0.001 0.699
Ho7 0.463 0.499 0.699
Ho8 0.067 0.750 0.346
H1 0.292 0.750 0.205
H2 0.708 0.250 0.795
Pb1 0.687 0.750 0.028
Pb2 0.313 0.250 0.972
Pb3 0.147 0.250 0.396
Pb4 0.853 0.750 0.604

Properties
- ΔE to the lowest computed polymorph (meV per atom) = 0


[6]
A plane-wave DFT calculation with PBE was carried out for an optimized crystal structure of Pr2ZnGa3Cu4.

a b c (Å): 4.278 4.278 9.987
angles (deg): 90.00 90.00 90.00
Positions (direct):
Pr1 0.500 0.000 0.245
Pr2 0.000 0.500 0.755
Zn1 0.500 0.500 0.500
Ga1 0.000 0.000 0.500
Ga2 0.500 0.000 0.871
Ga3 0.000 0.500 0.129
Cu1 0.500 0.500 0.000
Cu2 0.000 0.000 0.000
Cu3 0.500 0.000 0.629
Cu4 0.000 0.500 0.371

Properties
- energy of formation (meV per atom) = -389
>>>
Apart from photographs, Tatiana has done watercolour drawings of people who have undergone plastic surgery because they have been unhappy with their skin tone and colour. “I have done a drawing where the face has been changed by Botox surgery,” says Tatiana. She has also focused on French performance artist Orlan, who has done a lot of a plastic surgery on her face as part of her public performance.
The third aspect of the exhibition is a video in which Tatiana asks people their views regarding their skin tone. A black man, by the name of David, says, “Skin colour is a hierarchy, with white on top. As to whether I have the same opportunities as my white contemporaries, the answer is no.”
### Attached: data records
~~~
No. 1
The following is a PBE calculation of a geometry-optimized AcAl2Si structure, from Alexandria.

Results
**Symmetry**: No. 123
**E_form (uncorrected)**: -6.1 kJ/mol of atoms
**ΔE to the lowest computed polymorph**: 310 meV per atom
**Spin magnetization**: 0.00 μB/cell

```
AcAl2Si
1.0
3.586 0.000 0.000
0.000 3.586 0.000
0.000 0.000 7.079
Ac Al Si
1 2 1
Direct
0.000 0.000 0.000 Ac
0.500 0.500 0.320 Al
0.500 0.500 0.680 Al
0.000 0.000 0.500 Si
```

---

No. 2
The following is a PBE calculation of a geometry-optimized Ac3Al2Si3 structure, from Alexandria.

Results
**Symmetry**: No. 63
**E_form (uncorrected)**: -49.0 kJ/mol of atoms
**ΔE to the lowest computed polymorph**: 0 meV per atom
**Spin magnetization**: 0.00 μB/cell

```
Ac3Al2Si3
1.0
2.175 -5.940 0.000
2.175 5.940 0.000
0.000 0.000 16.241
Ac Al Si
6 4 6
Direct
0.033 0.967 0.750 Ac
0.343 0.657 0.591 Ac
0.343 0.657 0.909 Ac
0.657 0.343 0.091 Ac
0.657 0.343 0.409 Ac
0.967 0.033 0.250 Ac
0.367 0.633 0.118 Al
0.367 0.633 0.382 Al
0.633 0.367 0.618 Al
0.633 0.367 0.882 Al
0.064 0.936 0.556 Si
0.064 0.936 0.944 Si
0.247 0.753 0.250 Si
0.753 0.247 0.750 Si
0.936 0.064 0.056 Si
0.936 0.064 0.444 Si
```

---

No. 3
The following is a PBE calculation of a geometry-optimized AcAl2Si2 structure, from Alexandria.

Results
**Symmetry**: No. 139
**E_form (uncorrected)**: -33.0 kJ/mol of atoms
**Spin magnetization**: 0.00 μB/cell

```
AcAl2Si2
1.0
-2.119 2.119 5.746
2.119 -2.119 5.746
2.119 2.119 -5.746
Ac Al Si
1 2 2
Direct
0.000 0.000 0.000 Ac
0.250 0.750 0.500 Al
0.750 0.250 0.500 Al
0.378 0.378 0.000 Si
0.622 0.622 0.000 Si
```

---

No. 4
The following is a PBE calculation of a geometry-optimized AcAlSi2 structure, from Alexandria.

Results
**Symmetry**: No. 62
**E_form (uncorrected)**: -34.0 kJ/mol of atoms
**ΔE to the lowest computed polymorph**: 0 meV per atom
**Spin magnetization**: 0.00 μB/cell

```
AcAlSi2
1.0
7.292 0.000 0.000
0.000 4.520 0.000
0.000 0.000 10.826
Ac Al Si
4 4 8
Direct
0.150 0.250 0.131 Ac
0.350 0.750 0.631 Ac
0.650 0.250 0.369 Ac
0.850 0.750 0.869 Ac
0.004 0.750 0.381 Al
0.496 0.250 0.881 Al
0.504 0.750 0.119 Al
0.996 0.250 0.619 Al
0.162 0.250 0.827 Si
0.195 0.250 0.419 Si
0.305 0.750 0.919 Si
0.338 0.750 0.327 Si
0.662 0.250 0.673 Si
0.695 0.250 0.081 Si
0.805 0.750 0.581 Si
0.838 0.750 0.173 Si
```

---

No. 5
The following is a PBE calculation of a geometry-optimized Ac4AlSi3 structure, from Alexandria.

Results
**Symmetry**: No. 25
**E_form (uncorrected)**: -51.3 kJ/mol of atoms
**Spin magnetization**: 0.00 μB/cell

```
Ac4AlSi3
1.0
4.168 0.000 0.000
0.000 4.758 0.000
0.000 0.000 11.845
Ac Al Si
4 1 3
Direct
0.000 0.000 0.000 Ac
0.000 0.500 0.491 Ac
0.500 0.000 0.708 Ac
0.500 0.500 0.213 Ac
0.000 0.500 0.792 Al
0.000 0.000 0.289 Si
0.500 0.000 0.415 Si
0.500 0.500 0.922 Si
```

---

No. 6
The following is a PBE calculation of a geometry-optimized Ac4Al3Si5 structure, from Alexandria.

Results
**Symmetry**: No. 12
**E_form (uncorrected)**: -28.1 kJ/mol of atoms
~~~
As Tatiana speaks, local artist Pradeep Kumar comes in to view the works. “This is interesting,” he says, after walking around. “Apart from the tongue, everybody has red blood. Maybe, this could be the subject of your next exhibition.”
Tatiana smiles and nods. A practicing artist for the last 20 years, Tatiana has exhibited in London and San Francisco. She has done paintings, etchings and photography. For the past 16 years, she has also been a visiting tutor at the Central Saint Martins College of Art and Design at London. But her heart is in India. “I am having a great time in Kochi,” she says.
(Sunday Magazine, The New Indian Express, South India and Delhi)